== Source ==
********
No. 1
Entry from the OMol25 dataset: C45H46BrClCoN2P2S as an isolated structure in a non-equilibrium geometry (ωB97M-V/def2-TZVPD).

Cartesian coordinates (Å):
1 C -1.0197 -2.0811 3.2749
2 N 1.7660 2.7827 -1.4877
3 Co 1.1645 1.1693 -0.0807
4 H -4.8012 4.4111 -0.9550
5 H -2.3859 -2.4034 -6.0230
6 C -2.1219 -3.7460 -0.9079
7 C -1.8021 2.9404 -1.4423
8 H -3.9811 -6.0402 1.3929
9 H 4.1236 -3.0209 -1.6014
10 S -2.7133 -5.4192 -0.4999
11 H 0.7274 -1.9741 -0.1487
12 C 3.0681 3.1256 3.2885
13 C -0.1449 -1.4234 2.4122
14 H -3.7323 0.3119 -0.5375
15 C 2.1813 3.3700 -3.7602
16 C -4.6602 -0.5059 2.0709
17 H 4.0268 3.0545 3.7752
18 C 1.2096 -1.7499 2.4376
19 Br 2.5186 5.1453 5.2470
20 C -0.9621 -3.3117 -0.0243
21 H 1.9057 -1.2030 1.8144
22 H -0.1983 -2.1310 -1.6433
23 H 5.2264 -1.5140 1.6352
24 H -2.4740 4.9585 -1.6171
25 C -2.6759 1.3595 2.6048
26 C -4.3868 2.3261 -0.7069
27 H -5.4313 -1.2364 1.8702
28 C 4.7234 -2.8330 -0.7134
29 H 1.1450 -4.2225 4.7375
30 H -0.7863 3.1730 -1.7356
31 H -3.1787 -0.9075 -2.1112
32 H 0.1475 4.8169 3.5003
33 C 1.5358 2.3959 1.5585
34 C -2.0690 -1.8442 -5.1563
35 H 6.6698 -1.1612 -1.7900
36 C 0.8809 4.1153 3.1335
37 C -3.5461 -5.0982 1.0781
38 C 2.5762 -0.0747 -0.3229
39 C -0.5528 -3.0917 4.0954
40 H -2.0656 -1.8139 3.3110
41 H 4.2128 -3.2689 0.1429
42 Cl 2.2764 2.8667 -5.4000
43 H 5.7729 0.3488 -1.5995
44 C -2.7519 3.9429 -1.3794
45 N -1.0713 -0.8456 -0.2385
46 C 1.6701 -2.7593 3.2638
47 C 4.9350 -1.3284 -0.5087
48 P -0.7479 0.4408 -1.3724
49 H 1.8763 4.2883 -0.0933
50 H -1.8037 -3.8068 -1.9483
51 H 5.6860 -3.3253 -0.8326
52 C 1.9726 4.0520 -1.1430
53 C -1.2607 -0.4089 -2.9201
54 C -2.1318 1.6189 -1.1432
55 C 0.7880 -3.4388 4.0876
56 C 2.3859 4.6988 -3.4069
57 H -2.9668 -3.0625 -0.8330
58 C 2.1161 4.0168 3.7495
59 C -2.3733 0.2187 1.8742
60 C 2.7738 2.3247 2.1953
61 H -4.3280 -4.3601 0.9282
62 H -0.1456 -1.3735 -5.9640
63 H -5.9653 0.8037 3.1427
64 C 5.7352 -1.0825 0.7762
65 H -3.1433 -1.5951 1.0253
66 C -2.5202 -0.9995 -2.9600
67 C -0.4069 -0.5445 -4.0085
68 C -0.8135 -1.2614 -5.1231
69 H 1.7112 1.4081 -3.0163
70 H -4.2028 2.4666 3.6087
71 C -3.9687 1.5717 3.0538
72 C 3.6415 -0.6676 -0.3985
73 H 0.5809 -0.1063 -3.9879
74 H 2.4073 6.0553 -1.7441
75 H 6.7187 -1.5382 0.6910
76 H -0.3743 3.3977 1.5739
77 C -3.3759 -0.7128 1.6050
78 H -2.8249 -4.7596 1.8152
79 C 0.5984 3.3013 2.0450
80 H -1.3129 -3.1410 0.9950
81 C -0.2899 -2.0475 -0.5547
82 H -3.9000 -2.1718 -4.0891
83 H 5.1342 -0.9308 -2.6325
84 H -1.2429 -3.6066 4.7475
85 H -1.8975 2.0767 2.8246
86 C -4.9583 0.6403 2.7920
87 H -0.2121 -4.1039 0.0058
88 H 2.6175 5.4384 -4.1587
89 P -0.6635 -0.0687 1.2962
90 H 3.5395 1.6433 1.8464
91 H -5.3983 2.0786 -0.4213
92 C -3.4400 1.3202 -0.7800
93 C 1.8767 2.4470 -2.7684
94 C 2.2744 5.0364 -2.0693
95 H 2.7187 -3.0128 3.2739
96 H 5.8632 -0.0173 0.9522
97 C 5.6755 -0.7286 -1.7114
98 C -4.0510 3.6360 -1.0070
99 C -2.9225 -1.7132 -4.0717

The calculation puts the HOMO-LUMO gap (alpha / beta) at 7.91 / 5.77 eV. The energy comes out at -7349.4373 hartree. As for the total charge: +1. The value obtained for the LUMO energy (alpha / beta) is -0.091 / -0.170 hartree. Its spin multiplicity is 5.

Atomic partial charges in e from the Mulliken method, atoms 1 to 4: -0.33, 0.06, 1.68, 0.42



No. 2
Entry from the OMol25 dataset: a 6-piece molecular cluster, C45H47FN3O2 overall in a non-equilibrium geometry (ωB97M-V/def2-TZVPD).

Cartesian coordinates (Å):
1 H 1.2253 2.2696 6.2744
2 C -0.1501 -2.6111 -5.4218
3 C -1.5503 1.3776 2.8089
4 C -2.8627 -4.6282 2.7489
5 H 3.9960 3.4533 -1.4914
6 C -5.0179 -5.5008 3.3895
7 C -4.3934 -6.4734 4.1663
8 H 2.6304 1.8201 -0.2222
9 H 6.2124 -0.0063 1.2796
10 C 3.7147 1.7797 -0.1690
11 C -7.7139 3.8363 -3.7830
12 H 0.7339 0.6539 -1.9896
13 C 8.0586 -3.3264 4.3937
14 C -1.0101 2.1653 5.2629
15 C 0.0880 -1.3028 -5.8356
16 H -2.2660 -3.9060 2.2004
17 C 4.3373 0.8089 0.6115
18 H -0.9116 3.8159 -0.7713
19 C -1.0444 -1.0192 4.0660
20 N -0.8057 1.8327 0.2630
21 H -0.4554 -0.4806 -5.3792
********

== Assignment ==
Now retype the material further above from the first line to the one with "8.0586 -3.3264" verbatim.

== Solution ==
No. 1
Entry from the OMol25 dataset: C45H46BrClCoN2P2S as an isolated structure in a non-equilibrium geometry (ωB97M-V/def2-TZVPD).

Cartesian coordinates (Å):
1 C -1.0197 -2.0811 3.2749
2 N 1.7660 2.7827 -1.4877
3 Co 1.1645 1.1693 -0.0807
4 H -4.8012 4.4111 -0.9550
5 H -2.3859 -2.4034 -6.0230
6 C -2.1219 -3.7460 -0.9079
7 C -1.8021 2.9404 -1.4423
8 H -3.9811 -6.0402 1.3929
9 H 4.1236 -3.0209 -1.6014
10 S -2.7133 -5.4192 -0.4999
11 H 0.7274 -1.9741 -0.1487
12 C 3.0681 3.1256 3.2885
13 C -0.1449 -1.4234 2.4122
14 H -3.7323 0.3119 -0.5375
15 C 2.1813 3.3700 -3.7602
16 C -4.6602 -0.5059 2.0709
17 H 4.0268 3.0545 3.7752
18 C 1.2096 -1.7499 2.4376
19 Br 2.5186 5.1453 5.2470
20 C -0.9621 -3.3117 -0.0243
21 H 1.9057 -1.2030 1.8144
22 H -0.1983 -2.1310 -1.6433
23 H 5.2264 -1.5140 1.6352
24 H -2.4740 4.9585 -1.6171
25 C -2.6759 1.3595 2.6048
26 C -4.3868 2.3261 -0.7069
27 H -5.4313 -1.2364 1.8702
28 C 4.7234 -2.8330 -0.7134
29 H 1.1450 -4.2225 4.7375
30 H -0.7863 3.1730 -1.7356
31 H -3.1787 -0.9075 -2.1112
32 H 0.1475 4.8169 3.5003
33 C 1.5358 2.3959 1.5585
34 C -2.0690 -1.8442 -5.1563
35 H 6.6698 -1.1612 -1.7900
36 C 0.8809 4.1153 3.1335
37 C -3.5461 -5.0982 1.0781
38 C 2.5762 -0.0747 -0.3229
39 C -0.5528 -3.0917 4.0954
40 H -2.0656 -1.8139 3.3110
41 H 4.2128 -3.2689 0.1429
42 Cl 2.2764 2.8667 -5.4000
43 H 5.7729 0.3488 -1.5995
44 C -2.7519 3.9429 -1.3794
45 N -1.0713 -0.8456 -0.2385
46 C 1.6701 -2.7593 3.2638
47 C 4.9350 -1.3284 -0.5087
48 P -0.7479 0.4408 -1.3724
49 H 1.8763 4.2883 -0.0933
50 H -1.8037 -3.8068 -1.9483
51 H 5.6860 -3.3253 -0.8326
52 C 1.9726 4.0520 -1.1430
53 C -1.2607 -0.4089 -2.9201
54 C -2.1318 1.6189 -1.1432
55 C 0.7880 -3.4388 4.0876
56 C 2.3859 4.6988 -3.4069
57 H -2.9668 -3.0625 -0.8330
58 C 2.1161 4.0168 3.7495
59 C -2.3733 0.2187 1.8742
60 C 2.7738 2.3247 2.1953
61 H -4.3280 -4.3601 0.9282
62 H -0.1456 -1.3735 -5.9640
63 H -5.9653 0.8037 3.1427
64 C 5.7352 -1.0825 0.7762
65 H -3.1433 -1.5951 1.0253
66 C -2.5202 -0.9995 -2.9600
67 C -0.4069 -0.5445 -4.0085
68 C -0.8135 -1.2614 -5.1231
69 H 1.7112 1.4081 -3.0163
70 H -4.2028 2.4666 3.6087
71 C -3.9687 1.5717 3.0538
72 C 3.6415 -0.6676 -0.3985
73 H 0.5809 -0.1063 -3.9879
74 H 2.4073 6.0553 -1.7441
75 H 6.7187 -1.5382 0.6910
76 H -0.3743 3.3977 1.5739
77 C -3.3759 -0.7128 1.6050
78 H -2.8249 -4.7596 1.8152
79 C 0.5984 3.3013 2.0450
80 H -1.3129 -3.1410 0.9950
81 C -0.2899 -2.0475 -0.5547
82 H -3.9000 -2.1718 -4.0891
83 H 5.1342 -0.9308 -2.6325
84 H -1.2429 -3.6066 4.7475
85 H -1.8975 2.0767 2.8246
86 C -4.9583 0.6403 2.7920
87 H -0.2121 -4.1039 0.0058
88 H 2.6175 5.4384 -4.1587
89 P -0.6635 -0.0687 1.2962
90 H 3.5395 1.6433 1.8464
91 H -5.3983 2.0786 -0.4213
92 C -3.4400 1.3202 -0.7800
93 C 1.8767 2.4470 -2.7684
94 C 2.2744 5.0364 -2.0693
95 H 2.7187 -3.0128 3.2739
96 H 5.8632 -0.0173 0.9522
97 C 5.6755 -0.7286 -1.7114
98 C -4.0510 3.6360 -1.0070
99 C -2.9225 -1.7132 -4.0717

The calculation puts the HOMO-LUMO gap (alpha / beta) at 7.91 / 5.77 eV. The energy comes out at -7349.4373 hartree. As for the total charge: +1. The value obtained for the LUMO energy (alpha / beta) is -0.091 / -0.170 hartree. Its spin multiplicity is 5.

Atomic partial charges in e from the Mulliken method, atoms 1 to 4: -0.33, 0.06, 1.68, 0.42



No. 2
Entry from the OMol25 dataset: a 6-piece molecular cluster, C45H47FN3O2 overall in a non-equilibrium geometry (ωB97M-V/def2-TZVPD).

Cartesian coordinates (Å):
1 H 1.2253 2.2696 6.2744
2 C -0.1501 -2.6111 -5.4218
3 C -1.5503 1.3776 2.8089
4 C -2.8627 -4.6282 2.7489
5 H 3.9960 3.4533 -1.4914
6 C -5.0179 -5.5008 3.3895
7 C -4.3934 -6.4734 4.1663
8 H 2.6304 1.8201 -0.2222
9 H 6.2124 -0.0063 1.2796
10 C 3.7147 1.7797 -0.1690
11 C -7.7139 3.8363 -3.7830
12 H 0.7339 0.6539 -1.9896
13 C 8.0586 -3.3264 4.3937